• Exercise:
Please transcribe the contents underneath without additions.
• Source:
- - -
Simulated X-ray diffraction stick pattern of CsLi2Fe2Cl6 for copper Kα, from the GGA-PBE geometry in Alexandria.

Atomic structure:
```
data_CsLi2Fe2Cl6
_space_group_name_H-M_alt 'P -1'
_space_group_IT_number 2
_cell_length_a 6.990
_cell_length_b 7.400
_cell_length_c 8.320
_cell_angle_alpha 85.84
_cell_angle_beta 65.55
_cell_angle_gamma 61.84
loop_
_space_group_symop_operation_xyz
'x,y,z'
'-x,-y,-z'
loop_
_atom_site_label
_atom_site_fract_x
_atom_site_fract_y
_atom_site_fract_z
_atom_site_occupancy
Cs1 0.000 0.000 0.000 1
Li1 0.267 0.030 0.436 1
Fe1 0.055 0.530 0.358 1
Cl1 0.188 0.762 0.354 1
Cl2 0.296 0.216 0.188 1
Cl3 0.302 0.236 0.649 1
```

Most intense lines, 2θ = 10–80°, most intense first:
d [Å], I (rel.), hkl
5.544, 100.0, 1 0 0
4.552, 44.0, 0 1 1
3.476, 42.8, 0 1 -2
3.669, 30.0, 1 -1 1
2.923, 28.9, 2 2 0
2.913, 28.2, 2 0 2

~~~~~

Starting from a crystal structure in Alexandria, relaxed with PBE, the powder diffractogram of Sc5P2S2 was computed for Cu Kα (λ = 1.5418 Å).
Peak positions follow from Bragg's law for the DFT cell and can differ from measured ones.

Crystal structure
Cell: 13.0877 6.9334 6.9548 Å, 90.00 90.00 90.00°
Space group Cmce (No. 64)
Inequivalent atoms, fractional coordinates:
Sc1 0.0000 0.0000 0.0000 x4
Sc2 0.1354 0.1601 0.3438 x16
P1 0.0000 0.1431 0.6416 x8
S1 0.1985 0.0000 0.0000 x8

Largest 6 diffraction maxima, low angle first, 10 to 80 degrees two-theta:
2.532 Å, 2θ = 35.46°, I = 100.0, hkl 3 1 2
2.455 Å, 2θ = 36.60°, I = 34.8, hkl 0 2 2
2.381 Å, 2θ = 37.78°, I = 44.5, hkl 4 2 0
2.251 Å, 2θ = 40.05°, I = 81.0, hkl 4 2 1
2.168 Å, 2θ = 41.65°, I = 60.0, hkl 1 1 3
2.163 Å, 2θ = 41.76°, I = 62.6, hkl 1 3 1

~~~~~

Computed powder X-ray diffraction pattern
Compound: LiB2H2
Radiation: Cu Kα X-rays
Structure: a structure optimized by DFT (GGA-PBE)
No peak broadening, texture or thermal motion is included.

Main lines, low angle first (2θ from 10° to 80°):
| 2theta | Rel. int. |
| --- | --- |
| 16.39 | 100 |
| 18.20 | 91 |
| 21.65 | 79 |
| 34.35 | 21 |
| 36.91 | 19 |
| 44.11 | 17 |
| 48.25 | 11 |
| 52.17 | 14 |
| 62.30 | 9 |
| 64.96 | 10 |

Atomic structure:
```
LiB2H2
1.0
5.000 0.000 0.000
0.000 2.981 0.000
-1.240 0.000 5.409
Li B H
2 4 4
Direct
0.000 0.000 0.000
0.351 0.500 0.397
0.322 0.000 0.773
0.406 0.500 0.959
0.511 0.000 0.085
0.702 0.500 0.203
0.072 0.000 0.693
0.436 0.000 0.596
0.723 0.500 0.426
0.947 0.500 0.181
```

---

Computed powder X-ray diffraction pattern
Compound: Cs5Ag3
Radiation: Cu Kα X-rays
Structure: a structure optimized by DFT (GGA-PBE)
No peak broadening, texture or thermal motion is included.

Main lines, low angle first (2θ from 10° to 80°):
| 2theta | Rel. int. |
| --- | --- |
| 24.98 | 100 |
| 25.81 | 20 |
| 26.53 | 64 |
| 28.92 | 59 |
| 31.69 | 16 |
| 38.32 | 17 |
| 43.93 | 21 |
| 49.18 | 15 |
| 51.66 | 19 |
| 51.81 | 15 |

Atomic structure:
```
Cs5Ag3
1.0
-4.882 4.882 9.262
4.882 -4.882 9.262
4.882 4.882 -9.262
Cs Ag
10 6
Direct
0.000 0.000 0.000
0.032 0.532 0.850
0.182 0.032 0.500
0.318 0.818 0.850
0.468 0.318 0.500
0.500 0.500 0.000
0.532 0.682 0.500
0.682 0.182 0.150
0.818 0.968 0.500
0.968 0.468 0.150
0.105 0.395 0.500
0.250 0.250 0.000
0.395 0.895 0.290
0.605 0.105 0.710
0.750 0.750 0.000
0.895 0.605 0.500
```

---

Computed powder X-ray diffraction pattern
Compound: Ca4Zn5Ge6
Radiation: Cu Kα X-rays
Structure: a structure optimized by DFT (GGA-PBE)
No peak broadening, texture or thermal motion is included.

Main lines, low angle first (2θ from 10° to 80°):
| 2theta | Rel. int. |
| --- | --- |
| 24.37 | 24 |
| 25.69 | 29 |
| 31.05 | 24 |
| 33.92 | 50 |
| 35.90 | 98 |
| 39.03 | 31 |
| 41.03 | 33 |
| 41.98 | 77 |
| 45.81 | 100 |
| 47.64 | 46 |

Atomic structure:
```
Ca4Zn5Ge6
1.0
2.152 -9.452 0.000
2.152 9.452 0.000
0.000 0.000 15.841
Ca Zn Ge
8 10 12
Direct
0.020 0.980 0.500
0.031 0.969 0.764
0.172 0.828 0.307
0.177 0.823 0.947
0.823 0.177 0.447
0.828 0.172 0.807
0.969 0.031 0.264
0.980 0.020 0.000
0.147 0.853 0.628
0.298 0.702 0.626
0.348 0.652 0.270
- - -
• Here it is:
Simulated X-ray diffraction stick pattern of CsLi2Fe2Cl6 for copper Kα, from the GGA-PBE geometry in Alexandria.

Atomic structure:
```
data_CsLi2Fe2Cl6
_space_group_name_H-M_alt 'P -1'
_space_group_IT_number 2
_cell_length_a 6.990
_cell_length_b 7.400
_cell_length_c 8.320
_cell_angle_alpha 85.84
_cell_angle_beta 65.55
_cell_angle_gamma 61.84
loop_
_space_group_symop_operation_xyz
'x,y,z'
'-x,-y,-z'
loop_
_atom_site_label
_atom_site_fract_x
_atom_site_fract_y
_atom_site_fract_z
_atom_site_occupancy
Cs1 0.000 0.000 0.000 1
Li1 0.267 0.030 0.436 1
Fe1 0.055 0.530 0.358 1
Cl1 0.188 0.762 0.354 1
Cl2 0.296 0.216 0.188 1
Cl3 0.302 0.236 0.649 1
```

Most intense lines, 2θ = 10–80°, most intense first:
d [Å], I (rel.), hkl
5.544, 100.0, 1 0 0
4.552, 44.0, 0 1 1
3.476, 42.8, 0 1 -2
3.669, 30.0, 1 -1 1
2.923, 28.9, 2 2 0
2.913, 28.2, 2 0 2

~~~~~

Starting from a crystal structure in Alexandria, relaxed with PBE, the powder diffractogram of Sc5P2S2 was computed for Cu Kα (λ = 1.5418 Å).
Peak positions follow from Bragg's law for the DFT cell and can differ from measured ones.

Crystal structure
Cell: 13.0877 6.9334 6.9548 Å, 90.00 90.00 90.00°
Space group Cmce (No. 64)
Inequivalent atoms, fractional coordinates:
Sc1 0.0000 0.0000 0.0000 x4
Sc2 0.1354 0.1601 0.3438 x16
P1 0.0000 0.1431 0.6416 x8
S1 0.1985 0.0000 0.0000 x8

Largest 6 diffraction maxima, low angle first, 10 to 80 degrees two-theta:
2.532 Å, 2θ = 35.46°, I = 100.0, hkl 3 1 2
2.455 Å, 2θ = 36.60°, I = 34.8, hkl 0 2 2
2.381 Å, 2θ = 37.78°, I = 44.5, hkl 4 2 0
2.251 Å, 2θ = 40.05°, I = 81.0, hkl 4 2 1
2.168 Å, 2θ = 41.65°, I = 60.0, hkl 1 1 3
2.163 Å, 2θ = 41.76°, I = 62.6, hkl 1 3 1

~~~~~

Computed powder X-ray diffraction pattern
Compound: LiB2H2
Radiation: Cu Kα X-rays
Structure: a structure optimized by DFT (GGA-PBE)
No peak broadening, texture or thermal motion is included.

Main lines, low angle first (2θ from 10° to 80°):
| 2theta | Rel. int. |
| --- | --- |
| 16.39 | 100 |
| 18.20 | 91 |
| 21.65 | 79 |
| 34.35 | 21 |
| 36.91 | 19 |
| 44.11 | 17 |
| 48.25 | 11 |
| 52.17 | 14 |
| 62.30 | 9 |
| 64.96 | 10 |

Atomic structure:
```
LiB2H2
1.0
5.000 0.000 0.000
0.000 2.981 0.000
-1.240 0.000 5.409
Li B H
2 4 4
Direct
0.000 0.000 0.000
0.351 0.500 0.397
0.322 0.000 0.773
0.406 0.500 0.959
0.511 0.000 0.085
0.702 0.500 0.203
0.072 0.000 0.693
0.436 0.000 0.596
0.723 0.500 0.426
0.947 0.500 0.181
```

---

Computed powder X-ray diffraction pattern
Compound: Cs5Ag3
Radiation: Cu Kα X-rays
Structure: a structure optimized by DFT (GGA-PBE)
No peak broadening, texture or thermal motion is included.

Main lines, low angle first (2θ from 10° to 80°):
| 2theta | Rel. int. |
| --- | --- |
| 24.98 | 100 |
| 25.81 | 20 |
| 26.53 | 64 |
| 28.92 | 59 |
| 31.69 | 16 |
| 38.32 | 17 |
| 43.93 | 21 |
| 49.18 | 15 |
| 51.66 | 19 |
| 51.81 | 15 |

Atomic structure:
```
Cs5Ag3
1.0
-4.882 4.882 9.262
4.882 -4.882 9.262
4.882 4.882 -9.262
Cs Ag
10 6
Direct
0.000 0.000 0.000
0.032 0.532 0.850
0.182 0.032 0.500
0.318 0.818 0.850
0.468 0.318 0.500
0.500 0.500 0.000
0.532 0.682 0.500
0.682 0.182 0.150
0.818 0.968 0.500
0.968 0.468 0.150
0.105 0.395 0.500
0.250 0.250 0.000
0.395 0.895 0.290
0.605 0.105 0.710
0.750 0.750 0.000
0.895 0.605 0.500
```

---

Computed powder X-ray diffraction pattern
Compound: Ca4Zn5Ge6
Radiation: Cu Kα X-rays
Structure: a structure optimized by DFT (GGA-PBE)
No peak broadening, texture or thermal motion is included.

Main lines, low angle first (2θ from 10° to 80°):
| 2theta | Rel. int. |
| --- | --- |
| 24.37 | 24 |
| 25.69 | 29 |
| 31.05 | 24 |
| 33.92 | 50 |
| 35.90 | 98 |
| 39.03 | 31 |
| 41.03 | 33 |
| 41.98 | 77 |
| 45.81 | 100 |
| 47.64 | 46 |

Atomic structure:
```
Ca4Zn5Ge6
1.0
2.152 -9.452 0.000
2.152 9.452 0.000
0.000 0.000 15.841
Ca Zn Ge
8 10 12
Direct
0.020 0.980 0.500
0.031 0.969 0.764
0.172 0.828 0.307
0.177 0.823 0.947
0.823 0.177 0.447
0.828 0.172 0.807
0.969 0.031 0.264
0.980 0.020 0.000
0.147 0.853 0.628
0.298 0.702 0.626
0.348 0.652 0.270